-- begin --
No. 1
Molecular formula: C39H37Br6N7O4
Method: DFT, the ωB97M-V functional and the def2-TZVPD basis

Last column: Mulliken charge in e.
Cartesian coordinates (Å):
C -0.8030 4.1703 5.0695  -0.461
Br -0.0647 5.3490 6.3671  -0.016
Br 0.2225 2.4595 4.9868  0.079
Br -0.7871 5.0345 3.2856  0.032
H -1.8391 3.9156 5.2924  0.404
C 2.5801 -6.0602 -0.4890  -0.254
Br 4.4501 -6.6028 -0.1109  -0.077
Br 2.3783 -4.1381 -0.1046  0.139
Br 1.2648 -7.2628 0.3246  -0.016
H 2.4747 -6.1307 -1.5716  0.307
C 5.5200 -1.4435 3.9742  -0.485
C 4.1966 -1.4288 3.5550  -0.333
C 3.2558 -0.9798 4.4192  -0.043
C 3.5632 -0.5969 5.7154  -0.108
C 4.9128 -0.6222 6.1579  -0.500
C 5.8543 -1.1358 5.2498  -0.400
N 2.4296 -0.2937 6.6543  1.021
O 1.2346 -0.2028 6.2906  -0.620
O 2.7561 -0.2238 7.7961  -0.580
H 6.2942 -1.8459 3.3377  0.365
H 3.9923 -1.7068 2.5316  0.436
H 2.2219 -1.1223 4.1415  0.440
H 5.2378 -0.3899 7.1613  0.420
H 6.8741 -1.2111 5.5974  0.359
C 1.4576 0.1033 -4.2531  -0.556
C 1.2336 -0.5464 -3.0150  -0.580
C 1.4168 -1.9288 -3.0538  0.771
C 1.7783 -2.6204 -4.2122  -0.466
C 2.0897 -1.8731 -5.3646  -0.191
C 1.8998 -0.5093 -5.3981  -0.823
N 1.9575 -4.1007 -4.2131  0.931
O 2.7088 -4.6339 -5.0517  -0.581
O 1.3961 -4.7755 -3.3806  -0.525
H 1.2394 1.1576 -4.1684  0.439
H 0.6475 -0.0610 -2.2487  0.562
H 1.0877 -2.6160 -2.2884  0.151
H 2.5041 -2.3209 -6.2558  0.427
H 2.0387 -0.0082 -6.3447  0.403
N -4.4800 6.2920 -1.1795  -0.552
C -3.2524 6.5618 -0.6197  -0.510
C -2.6175 5.5791 0.1842  0.025
C -3.2661 4.3343 0.4771  0.243
C -4.4963 4.1122 -0.1613  -0.531
C -4.9979 5.0757 -1.0519  -0.313
H -2.8708 7.5464 -0.8462  0.387
H -1.6968 5.9142 0.6385  0.168
H -2.7875 3.6088 1.1182  0.326
H -5.1047 3.2480 0.0609  0.383
H -5.9944 5.0365 -1.4664  0.392
N -1.6267 -4.0192 -0.3135  -0.199
C -2.8815 -3.8070 0.1145  -0.163
C -4.0050 -4.5257 -0.3117  -0.565
C -3.7766 -5.4604 -1.2880  -0.168
C -2.5118 -5.8092 -1.7197  -0.896
C -1.4532 -5.0514 -1.1620  0.095
H -3.0257 -2.9714 0.7834  0.388
H -4.9606 -4.3442 0.1576  0.450
H -4.6883 -5.9811 -1.5412  0.387
H -2.2601 -6.6088 -2.4006  0.412
H -0.4195 -5.2191 -1.4261  0.286
N 1.5119 0.2907 1.6001  -0.320
C 0.7246 1.3669 1.8105  -1.209
C -0.5582 1.5358 1.3454  0.006
C -1.1058 0.4130 0.6181  -0.370
C -0.2859 -0.7074 0.3986  -0.030
C 0.9949 -0.7161 0.8746  -0.311
H 1.1901 2.2282 2.2664  0.975
H -1.1590 2.4150 1.5254  0.040
H -2.1311 0.6347 0.3610  0.431
H -0.6624 -1.5005 -0.2304  0.711
H 1.6210 -1.5831 0.7238  -0.057
N 3.0871 5.8389 -0.2553  -0.567
C 3.9978 5.0445 -0.8596  -0.263
C 3.7440 3.6661 -1.1481  -0.497
C 2.5504 3.0533 -0.6856  -0.329
C 1.6926 3.8763 0.0674  -0.026
C 1.9730 5.2163 0.2900  -0.355
H 4.8581 5.4839 -1.3427  0.343
H 4.4862 3.1197 -1.7110  0.382
H 2.3434 2.0068 -0.8537  0.528
H 0.6981 3.5393 0.3197  0.461
H 1.2042 5.8359 0.7276  0.334
N -3.4267 0.5577 -2.6371  -0.481
C -2.9917 -0.7423 -2.5965  -0.330
C -3.8482 -1.8236 -2.7333  -0.460
C -5.2391 -1.5722 -2.7451  -0.208
C -5.7126 -0.2436 -2.7815  -0.440
C -4.7539 0.7767 -2.7649  -0.444
H -1.9213 -0.8658 -2.5234  0.647
H -3.5617 -2.8469 -2.9263  0.463
H -6.0390 -2.2977 -2.7331  0.396
H -6.7713 -0.1300 -2.9625  0.394
H -5.0115 1.8203 -2.8696  0.470

For the HOMO energy, the calculation gives -9.54 eV. The calculation puts the gap between HOMO and LUMO at 8.727 eV. As for the charge: 0.

---

No. 2
Molecular formula: C39H37ClIN2OP2S3Sm
Method: DFT, the ωB97M-V functional and the def2-TZVPD basis

Last column: Mulliken spin population.
Cartesian coordinates (Å):
Sm -0.8103 0.4738 -0.3225  5.123
C -4.5980 0.9266 -1.0004  0.000
C -4.7836 0.9451 0.5009  -0.001
S -3.3091 0.4165 1.4792  -0.007
C -3.2010 1.7978 2.6916  -0.001
C -2.0240 2.7617 2.5573  0.001
S -1.4803 3.2404 0.8767  -0.004
C -3.0125 4.0096 0.1914  0.000
C -3.3388 3.5981 -1.2365  0.000
S -3.1522 1.8264 -1.6551  -0.004
H -4.4125 -0.0916 -1.3519  0.001
H -5.4945 1.3158 -1.4843  0.000
H -5.0644 1.9362 0.8490  0.000
H -5.5818 0.2477 0.7578  0.000
H -4.1584 2.3164 2.6553  0.000
H -3.1273 1.3194 3.6699  0.000
-- stop --
Repeat the contents earlier on from the line with "0.079" to the end without additions.
Br 0.2225 2.4595 4.9868  0.079
Br -0.7871 5.0345 3.2856  0.032
H -1.8391 3.9156 5.2924  0.404
C 2.5801 -6.0602 -0.4890  -0.254
Br 4.4501 -6.6028 -0.1109  -0.077
Br 2.3783 -4.1381 -0.1046  0.139
Br 1.2648 -7.2628 0.3246  -0.016
H 2.4747 -6.1307 -1.5716  0.307
C 5.5200 -1.4435 3.9742  -0.485
C 4.1966 -1.4288 3.5550  -0.333
C 3.2558 -0.9798 4.4192  -0.043
C 3.5632 -0.5969 5.7154  -0.108
C 4.9128 -0.6222 6.1579  -0.500
C 5.8543 -1.1358 5.2498  -0.400
N 2.4296 -0.2937 6.6543  1.021
O 1.2346 -0.2028 6.2906  -0.620
O 2.7561 -0.2238 7.7961  -0.580
H 6.2942 -1.8459 3.3377  0.365
H 3.9923 -1.7068 2.5316  0.436
H 2.2219 -1.1223 4.1415  0.440
H 5.2378 -0.3899 7.1613  0.420
H 6.8741 -1.2111 5.5974  0.359
C 1.4576 0.1033 -4.2531  -0.556
C 1.2336 -0.5464 -3.0150  -0.580
C 1.4168 -1.9288 -3.0538  0.771
C 1.7783 -2.6204 -4.2122  -0.466
C 2.0897 -1.8731 -5.3646  -0.191
C 1.8998 -0.5093 -5.3981  -0.823
N 1.9575 -4.1007 -4.2131  0.931
O 2.7088 -4.6339 -5.0517  -0.581
O 1.3961 -4.7755 -3.3806  -0.525
H 1.2394 1.1576 -4.1684  0.439
H 0.6475 -0.0610 -2.2487  0.562
H 1.0877 -2.6160 -2.2884  0.151
H 2.5041 -2.3209 -6.2558  0.427
H 2.0387 -0.0082 -6.3447  0.403
N -4.4800 6.2920 -1.1795  -0.552
C -3.2524 6.5618 -0.6197  -0.510
C -2.6175 5.5791 0.1842  0.025
C -3.2661 4.3343 0.4771  0.243
C -4.4963 4.1122 -0.1613  -0.531
C -4.9979 5.0757 -1.0519  -0.313
H -2.8708 7.5464 -0.8462  0.387
H -1.6968 5.9142 0.6385  0.168
H -2.7875 3.6088 1.1182  0.326
H -5.1047 3.2480 0.0609  0.383
H -5.9944 5.0365 -1.4664  0.392
N -1.6267 -4.0192 -0.3135  -0.199
C -2.8815 -3.8070 0.1145  -0.163
C -4.0050 -4.5257 -0.3117  -0.565
C -3.7766 -5.4604 -1.2880  -0.168
C -2.5118 -5.8092 -1.7197  -0.896
C -1.4532 -5.0514 -1.1620  0.095
H -3.0257 -2.9714 0.7834  0.388
H -4.9606 -4.3442 0.1576  0.450
H -4.6883 -5.9811 -1.5412  0.387
H -2.2601 -6.6088 -2.4006  0.412
H -0.4195 -5.2191 -1.4261  0.286
N 1.5119 0.2907 1.6001  -0.320
C 0.7246 1.3669 1.8105  -1.209
C -0.5582 1.5358 1.3454  0.006
C -1.1058 0.4130 0.6181  -0.370
C -0.2859 -0.7074 0.3986  -0.030
C 0.9949 -0.7161 0.8746  -0.311
H 1.1901 2.2282 2.2664  0.975
H -1.1590 2.4150 1.5254  0.040
H -2.1311 0.6347 0.3610  0.431
H -0.6624 -1.5005 -0.2304  0.711
H 1.6210 -1.5831 0.7238  -0.057
N 3.0871 5.8389 -0.2553  -0.567
C 3.9978 5.0445 -0.8596  -0.263
C 3.7440 3.6661 -1.1481  -0.497
C 2.5504 3.0533 -0.6856  -0.329
C 1.6926 3.8763 0.0674  -0.026
C 1.9730 5.2163 0.2900  -0.355
H 4.8581 5.4839 -1.3427  0.343
H 4.4862 3.1197 -1.7110  0.382
H 2.3434 2.0068 -0.8537  0.528
H 0.6981 3.5393 0.3197  0.461
H 1.2042 5.8359 0.7276  0.334
N -3.4267 0.5577 -2.6371  -0.481
C -2.9917 -0.7423 -2.5965  -0.330
C -3.8482 -1.8236 -2.7333  -0.460
C -5.2391 -1.5722 -2.7451  -0.208
C -5.7126 -0.2436 -2.7815  -0.440
C -4.7539 0.7767 -2.7649  -0.444
H -1.9213 -0.8658 -2.5234  0.647
H -3.5617 -2.8469 -2.9263  0.463
H -6.0390 -2.2977 -2.7331  0.396
H -6.7713 -0.1300 -2.9625  0.394
H -5.0115 1.8203 -2.8696  0.470

For the HOMO energy, the calculation gives -9.54 eV. The calculation puts the gap between HOMO and LUMO at 8.727 eV. As for the charge: 0.

---

No. 2
Molecular formula: C39H37ClIN2OP2S3Sm
Method: DFT, the ωB97M-V functional and the def2-TZVPD basis

Last column: Mulliken spin population.
Cartesian coordinates (Å):
Sm -0.8103 0.4738 -0.3225  5.123
C -4.5980 0.9266 -1.0004  0.000
C -4.7836 0.9451 0.5009  -0.001
S -3.3091 0.4165 1.4792  -0.007
C -3.2010 1.7978 2.6916  -0.001
C -2.0240 2.7617 2.5573  0.001
S -1.4803 3.2404 0.8767  -0.004
C -3.0125 4.0096 0.1914  0.000
C -3.3388 3.5981 -1.2365  0.000
S -3.1522 1.8264 -1.6551  -0.004
H -4.4125 -0.0916 -1.3519  0.001
H -5.4945 1.3158 -1.4843  0.000
H -5.0644 1.9362 0.8490  0.000
H -5.5818 0.2477 0.7578  0.000
H -4.1584 2.3164 2.6553  0.000
H -3.1273 1.3194 3.6699  0.000